• Work order:
Return the notes further below exactly.

• Contents:
********
No. 1
r²SCAN CaC2, relaxed; space-group type = C2/m; formation energy from the elements = -138 meV/atom; VASP energy = -54.69 eV per cell; relative energy among the computed polymorphs = 0 meV/atom
1.0
3.579 -1.915 0.000
3.579 1.915 0.000
-2.164 0.000 7.093
Ca C
2 4
direct
0.203 0.203 0.246
0.797 0.797 0.754
0.079 0.079 0.564
0.452 0.452 0.058
0.548 0.548 0.942
0.921 0.921 0.436

***

No. 2
r²SCAN CaC2, relaxed; formation energy from the elements = -131 meV/atom; VASP energy = -54.65 eV per cell; relative energy among the computed polymorphs = 7 meV/atom
1.0
-0.314 -2.638 -2.692
4.789 0.324 -0.876
0.920 -3.806 3.622
Ca C
2 4
direct
0.000 0.000 0.000
0.500 0.500 0.500
0.000 0.872 0.501
0.500 0.628 0.001
0.500 0.372 0.999
0.000 0.128 0.499

***

No. 3
r²SCAN CaC2, relaxed; space-group type = I4/mmm; formation energy from the elements = -135 meV/atom; VASP energy = -27.34 eV per cell; relative energy among the computed polymorphs = 3 meV/atom
1.0
-1.934 1.934 3.202
1.934 -1.934 3.202
1.934 1.934 -3.202
Ca C
1 2
********

• Outcome:
No. 1
r²SCAN CaC2, relaxed; space-group type = C2/m; formation energy from the elements = -138 meV/atom; VASP energy = -54.69 eV per cell; relative energy among the computed polymorphs = 0 meV/atom
1.0
3.579 -1.915 0.000
3.579 1.915 0.000
-2.164 0.000 7.093
Ca C
2 4
direct
0.203 0.203 0.246
0.797 0.797 0.754
0.079 0.079 0.564
0.452 0.452 0.058
0.548 0.548 0.942
0.921 0.921 0.436

***

No. 2
r²SCAN CaC2, relaxed; formation energy from the elements = -131 meV/atom; VASP energy = -54.65 eV per cell; relative energy among the computed polymorphs = 7 meV/atom
1.0
-0.314 -2.638 -2.692
4.789 0.324 -0.876
0.920 -3.806 3.622
Ca C
2 4
direct
0.000 0.000 0.000
0.500 0.500 0.500
0.000 0.872 0.501
0.500 0.628 0.001
0.500 0.372 0.999
0.000 0.128 0.499

***

No. 3
r²SCAN CaC2, relaxed; space-group type = I4/mmm; formation energy from the elements = -135 meV/atom; VASP energy = -27.34 eV per cell; relative energy among the computed polymorphs = 3 meV/atom
1.0
-1.934 1.934 3.202
1.934 -1.934 3.202
1.934 1.934 -3.202
Ca C
1 2